Material.
____________
# C42H61IIrN3OSSb2Si

A structure of composition C42H61IIrN3OSSb2Si in a non-equilibrium geometry (ωB97M-V/def2-TZVPD, the Open Molecules 2025 dataset).

```
113
Properties=species:S:1:pos:R:3:forces:R:3
Ir -15.342382 -20.955738 5.566702 -0.06 -1.14 -0.85
C -18.468745 -13.556191 4.615440 -0.70 -0.59 0.75
C -18.106783 -15.000908 4.177998 0.62 0.79 0.01
C -19.020188 -16.127726 4.475313 -1.73 1.08 -0.01
Sb -19.197666 -15.496177 8.477958 1.05 -0.96 -0.08
C -18.289775 -15.139075 10.389388 0.13 -0.30 0.67
C -17.794548 -13.876733 10.789576 -0.22 -0.22 -1.21
C -17.005133 -13.776677 11.917037 -0.77 1.44 -0.49
C -16.774549 -14.890236 12.651696 1.54 -0.66 1.79
C -17.223022 -16.162237 12.356596 -1.66 -0.33 -1.84
C -18.063033 -16.303889 11.206462 0.99 2.45 0.85
C -21.083461 -14.680708 8.608342 0.45 2.15 0.68
C -21.997846 -15.237647 7.754881 -0.35 -2.10 -1.24
C -23.285186 -14.739007 7.663799 -0.39 0.30 0.08
C -23.602427 -13.594629 8.400055 -0.77 0.24 -0.11
C -22.680848 -12.966879 9.226403 2.02 -1.24 -0.08
C -21.346079 -13.491316 9.330426 -1.66 -0.58 -0.31
Sb -18.165149 -13.358147 6.789140 0.53 -0.11 -0.82
C -18.728315 -11.408991 7.225959 1.46 1.03 0.54
C -19.918655 -10.877761 6.792228 1.00 0.27 -0.58
C -20.156338 -9.528664 6.984308 -0.72 0.13 1.19
C -19.324711 -8.738289 7.797808 0.50 -0.66 -0.94
C -18.014969 -9.249300 8.132944 -2.37 -0.13 -0.46
C -17.726743 -10.572949 7.823383 -1.21 -0.68 -0.31
C -16.056815 -13.098461 6.819034 0.14 0.62 1.29
C -15.379141 -12.265970 5.875345 -2.29 -0.79 -0.67
C -14.055020 -12.050208 6.004402 0.30 -1.37 2.90
C -13.352412 -12.514164 7.173304 1.20 0.99 -2.49
C -14.014226 -13.203073 8.128478 -1.23 -0.96 1.54
C -15.404673 -13.475097 8.014177 0.26 0.23 -1.41
H -19.512708 -13.297257 4.419096 0.08 -0.05 -0.06
H -17.832365 -12.799320 4.134659 -0.10 -0.30 0.32
H -17.144448 -15.188050 4.658425 0.30 -0.31 -0.37
H -17.920080 -14.919208 3.090910 0.04 -0.26 0.16
H -20.130708 -15.965321 4.379165 1.31 -0.36 0.14
H -18.641357 -17.121201 4.617894 0.06 -0.20 0.01
H -17.996191 -12.977070 10.175026 0.11 -0.60 0.37
H -16.630780 -12.808153 12.287997 -0.22 -0.56 -0.42
H -16.163033 -14.670758 13.519100 0.05 -0.66 0.23
H -17.030235 -17.071046 12.925896 0.09 0.55 0.22
H -18.610185 -17.214359 11.109060 -0.01 -0.63 -0.68
H -21.686508 -16.175811 7.173674 -0.68 1.41 0.79
H -24.053419 -15.240213 7.070498 0.34 0.23 0.08
H -24.616639 -13.146698 8.354408 0.73 -0.55 -0.04
H -23.012802 -12.144337 9.810273 0.04 0.71 0.35
H -20.556240 -13.101808 9.987658 -0.66 0.13 -0.25
H -20.519619 -11.441516 6.110691 -0.76 -0.33 0.06
H -21.135289 -9.210292 6.627671 0.36 0.56 0.12
H -19.730935 -7.736851 8.023375 0.89 -0.51 0.09
H -17.318808 -8.647172 8.663565 0.49 0.44 0.25
H -16.765047 -11.041718 8.002306 0.03 0.46 0.30
H -15.891512 -11.807984 4.974825 0.44 -0.86 1.17
H -13.620453 -11.622045 5.184550 1.68 1.41 -1.52
H -12.246989 -12.337091 7.186475 -1.18 -0.25 0.30
H -13.531859 -13.614928 9.019702 0.12 0.40 -0.33
H -15.942095 -13.976423 8.832639 0.37 0.06 -0.50
N -16.429138 -25.308112 5.169913 1.27 0.27 -0.97
C -16.577601 -23.949471 5.238198 0.89 -1.82 0.16
O -15.618066 -23.247346 4.888427 -1.17 0.37 0.31
C -17.890831 -23.510117 5.889193 -0.98 0.39 -0.71
I -18.123547 -21.397247 5.786127 0.07 0.18 0.03
H -15.523717 -25.660162 4.708690 -2.15 0.66 1.21
H -17.141591 -25.967088 5.482145 0.43 0.36 -0.30
H -17.875229 -23.762846 6.956093 -0.14 -0.11 -0.39
H -18.856808 -23.828741 5.364951 1.71 -0.20 0.81
C -13.389109 -20.768000 9.658573 0.43 1.26 -0.76
Si -13.227277 -19.618547 8.160603 0.74 0.49 0.32
C -11.486863 -19.614175 7.529354 0.44 0.97 -0.21
C -13.271448 -17.881838 8.878507 -1.61 -0.32 0.20
C -14.483869 -19.596154 6.758035 0.24 -0.11 0.47
H -12.769617 -20.223702 10.387322 -0.37 -0.26 0.12
H -13.048572 -21.775407 9.616518 0.43 -0.75 -0.38
H -14.410956 -20.795185 9.948147 -0.94 0.10 0.69
H -11.394995 -18.722457 6.870107 -0.01 -0.57 0.16
H -11.230481 -20.482045 6.978937 0.42 -0.90 -0.75
H -10.704922 -19.475303 8.297675 -0.57 -0.13 -0.04
____________

Assignment.
Could you copy everything further above word for word?

Written answer.
# C42H61IIrN3OSSb2Si

A structure of composition C42H61IIrN3OSSb2Si in a non-equilibrium geometry (ωB97M-V/def2-TZVPD, the Open Molecules 2025 dataset).

```
113
Properties=species:S:1:pos:R:3:forces:R:3
Ir -15.342382 -20.955738 5.566702 -0.06 -1.14 -0.85
C -18.468745 -13.556191 4.615440 -0.70 -0.59 0.75
C -18.106783 -15.000908 4.177998 0.62 0.79 0.01
C -19.020188 -16.127726 4.475313 -1.73 1.08 -0.01
Sb -19.197666 -15.496177 8.477958 1.05 -0.96 -0.08
C -18.289775 -15.139075 10.389388 0.13 -0.30 0.67
C -17.794548 -13.876733 10.789576 -0.22 -0.22 -1.21
C -17.005133 -13.776677 11.917037 -0.77 1.44 -0.49
C -16.774549 -14.890236 12.651696 1.54 -0.66 1.79
C -17.223022 -16.162237 12.356596 -1.66 -0.33 -1.84
C -18.063033 -16.303889 11.206462 0.99 2.45 0.85
C -21.083461 -14.680708 8.608342 0.45 2.15 0.68
C -21.997846 -15.237647 7.754881 -0.35 -2.10 -1.24
C -23.285186 -14.739007 7.663799 -0.39 0.30 0.08
C -23.602427 -13.594629 8.400055 -0.77 0.24 -0.11
C -22.680848 -12.966879 9.226403 2.02 -1.24 -0.08
C -21.346079 -13.491316 9.330426 -1.66 -0.58 -0.31
Sb -18.165149 -13.358147 6.789140 0.53 -0.11 -0.82
C -18.728315 -11.408991 7.225959 1.46 1.03 0.54
C -19.918655 -10.877761 6.792228 1.00 0.27 -0.58
C -20.156338 -9.528664 6.984308 -0.72 0.13 1.19
C -19.324711 -8.738289 7.797808 0.50 -0.66 -0.94
C -18.014969 -9.249300 8.132944 -2.37 -0.13 -0.46
C -17.726743 -10.572949 7.823383 -1.21 -0.68 -0.31
C -16.056815 -13.098461 6.819034 0.14 0.62 1.29
C -15.379141 -12.265970 5.875345 -2.29 -0.79 -0.67
C -14.055020 -12.050208 6.004402 0.30 -1.37 2.90
C -13.352412 -12.514164 7.173304 1.20 0.99 -2.49
C -14.014226 -13.203073 8.128478 -1.23 -0.96 1.54
C -15.404673 -13.475097 8.014177 0.26 0.23 -1.41
H -19.512708 -13.297257 4.419096 0.08 -0.05 -0.06
H -17.832365 -12.799320 4.134659 -0.10 -0.30 0.32
H -17.144448 -15.188050 4.658425 0.30 -0.31 -0.37
H -17.920080 -14.919208 3.090910 0.04 -0.26 0.16
H -20.130708 -15.965321 4.379165 1.31 -0.36 0.14
H -18.641357 -17.121201 4.617894 0.06 -0.20 0.01
H -17.996191 -12.977070 10.175026 0.11 -0.60 0.37
H -16.630780 -12.808153 12.287997 -0.22 -0.56 -0.42
H -16.163033 -14.670758 13.519100 0.05 -0.66 0.23
H -17.030235 -17.071046 12.925896 0.09 0.55 0.22
H -18.610185 -17.214359 11.109060 -0.01 -0.63 -0.68
H -21.686508 -16.175811 7.173674 -0.68 1.41 0.79
H -24.053419 -15.240213 7.070498 0.34 0.23 0.08
H -24.616639 -13.146698 8.354408 0.73 -0.55 -0.04
H -23.012802 -12.144337 9.810273 0.04 0.71 0.35
H -20.556240 -13.101808 9.987658 -0.66 0.13 -0.25
H -20.519619 -11.441516 6.110691 -0.76 -0.33 0.06
H -21.135289 -9.210292 6.627671 0.36 0.56 0.12
H -19.730935 -7.736851 8.023375 0.89 -0.51 0.09
H -17.318808 -8.647172 8.663565 0.49 0.44 0.25
H -16.765047 -11.041718 8.002306 0.03 0.46 0.30
H -15.891512 -11.807984 4.974825 0.44 -0.86 1.17
H -13.620453 -11.622045 5.184550 1.68 1.41 -1.52
H -12.246989 -12.337091 7.186475 -1.18 -0.25 0.30
H -13.531859 -13.614928 9.019702 0.12 0.40 -0.33
H -15.942095 -13.976423 8.832639 0.37 0.06 -0.50
N -16.429138 -25.308112 5.169913 1.27 0.27 -0.97
C -16.577601 -23.949471 5.238198 0.89 -1.82 0.16
O -15.618066 -23.247346 4.888427 -1.17 0.37 0.31
C -17.890831 -23.510117 5.889193 -0.98 0.39 -0.71
I -18.123547 -21.397247 5.786127 0.07 0.18 0.03
H -15.523717 -25.660162 4.708690 -2.15 0.66 1.21
H -17.141591 -25.967088 5.482145 0.43 0.36 -0.30
H -17.875229 -23.762846 6.956093 -0.14 -0.11 -0.39
H -18.856808 -23.828741 5.364951 1.71 -0.20 0.81
C -13.389109 -20.768000 9.658573 0.43 1.26 -0.76
Si -13.227277 -19.618547 8.160603 0.74 0.49 0.32
C -11.486863 -19.614175 7.529354 0.44 0.97 -0.21
C -13.271448 -17.881838 8.878507 -1.61 -0.32 0.20
C -14.483869 -19.596154 6.758035 0.24 -0.11 0.47
H -12.769617 -20.223702 10.387322 -0.37 -0.26 0.12
H -13.048572 -21.775407 9.616518 0.43 -0.75 -0.38
H -14.410956 -20.795185 9.948147 -0.94 0.10 0.69
H -11.394995 -18.722457 6.870107 -0.01 -0.57 0.16
H -11.230481 -20.482045 6.978937 0.42 -0.90 -0.75
H -10.704922 -19.475303 8.297675 -0.57 -0.13 -0.04